Data:
********
1.
TaCuSiAu | the Open Quantum Materials Database | PBE | optimized geometry; energy above the lowest structure with this stoichiometry = 0.278 eV/atom; magnetization = 2.7 μB per cell
1.0
6.3310 0.0000 0.0000
0.0000 6.3310 0.0000
0.0000 0.0000 6.3310
Ta Cu Si Au
4 4 4 4
Direct
0.0000 0.0000 0.0000
0.0000 0.5000 0.5000
0.5000 0.0000 0.5000
0.5000 0.5000 0.0000
0.2500 0.2500 0.7500
0.2500 0.7500 0.2500
0.7500 0.2500 0.2500
0.7500 0.7500 0.7500
0.0000 0.0000 0.5000
0.0000 0.5000 0.0000
0.5000 0.0000 0.0000
0.5000 0.5000 0.5000
0.2500 0.2500 0.2500
0.2500 0.7500 0.7500
0.7500 0.2500 0.7500
0.7500 0.7500 0.2500


2.
TbCuSi2Au | the Open Quantum Materials Database | PBE | optimized geometry; final energy = -50.8 eV/cell; magnetization = 0.0 μB per cell
1.0
4.0978 0.0000 0.0000
0.0000 4.0978 0.0000
0.0000 0.0000 10.2720
Tb Cu Si Au
2 2 4 2
Direct
0.0000 0.0000 0.0000
0.5000 0.5000 0.5000
0.0000 0.5000 0.7500
0.5000 0.0000 0.2500
0.0000 0.0000 0.3874
0.0000 0.0000 0.6126
0.5000 0.5000 0.1126
0.5000 0.5000 0.8874
0.0000 0.5000 0.2500
0.5000 0.0000 0.7500


3.
CuSiWAu | the Open Quantum Materials Database | PBE | optimized geometry; energy above the lowest structure with this stoichiometry = 0.000 eV/atom; magnetization = 0.4 μB per cell
1.0
6.2168 0.0000 0.0000
0.0000 6.2168 0.0000
0.0000 0.0000 6.2168
Cu Si W Au
4 4 4 4
Direct
0.0000 0.0000 0.0000
0.0000 0.5000 0.5000
0.5000 0.0000 0.5000
0.5000 0.5000 0.0000
0.2500 0.2500 0.7500
0.2500 0.7500 0.2500
0.7500 0.2500 0.2500
0.7500 0.7500 0.7500
0.0000 0.0000 0.5000
0.0000 0.5000 0.0000
0.5000 0.0000 0.0000
0.5000 0.5000 0.5000
0.2500 0.2500 0.2500
0.2500 0.7500 0.7500
0.7500 0.2500 0.7500
0.7500 0.7500 0.2500


4.
CuSiWAu | the Open Quantum Materials Database | PBE | optimized geometry; energy above the lowest structure with this stoichiometry = 0.377 eV/atom; magnetization = 6.5 μB per cell
1.0
6.2829 0.0000 0.0000
0.0000 6.2829 0.0000
0.0000 0.0000 6.2829
Cu Si W Au
4 4 4 4
Direct
0.0000 0.0000 0.0000
0.0000 0.5000 0.5000
0.5000 0.0000 0.5000
0.5000 0.5000 0.0000
0.2500 0.2500 0.7500
0.2500 0.7500 0.2500
0.7500 0.2500 0.2500
0.7500 0.7500 0.7500
0.2500 0.2500 0.2500
0.2500 0.7500 0.7500
0.7500 0.2500 0.7500
0.7500 0.7500 0.2500
0.0000 0.0000 0.5000
0.0000 0.5000 0.0000
0.5000 0.0000 0.0000
0.5000 0.5000 0.5000


5.
YCuSi2Au | the Open Quantum Materials Database | PBE | optimized geometry; final energy = -54.5 eV/cell; magnetization = 0.0 μB per cell
1.0
4.0841 0.0000 0.0000
0.0000 4.0841 0.0000
0.0000 0.0000 10.2785
Y Cu Si Au
2 2 4 2
Direct
0.0000 0.0000 0.0000
0.5000 0.5000 0.5000
0.0000 0.5000 0.2500
0.5000 0.0000 0.7500
0.0000 0.0000 0.3877
0.0000 0.0000 0.6123
0.5000 0.5000 0.1123
0.5000 0.5000 0.8877
0.0000 0.5000 0.7500
0.5000 0.0000 0.2500


6.
ZrCuSiAu | the Open Quantum Materials Database | PBE | optimized geometry; energy above the lowest structure with this stoichiometry = 0.000 eV/atom; magnetization = 0.0 μB per cell
1.0
6.4502 0.0000 0.0000
0.0000 6.4502 0.0000
0.0000 0.0000 6.4502
Zr Cu Si Au
4 4 4 4
Direct
0.0000 0.0000 0.0000
0.0000 0.5000 0.5000
0.5000 0.0000 0.5000
0.5000 0.5000 0.0000
0.0000 0.0000 0.5000
0.0000 0.5000 0.0000
0.5000 0.0000 0.0000
0.5000 0.5000 0.5000
0.2500 0.2500 0.2500
0.2500 0.7500 0.7500
0.7500 0.2500 0.7500
0.7500 0.7500 0.2500
0.2500 0.2500 0.7500
0.2500 0.7500 0.2500
0.7500 0.2500 0.2500
0.7500 0.7500 0.7500


7.
ZrCuSiAu | the Open Quantum Materials Database | PBE | optimized geometry; energy above the lowest structure with this stoichiometry = 0.117 eV/atom; magnetization = 0.0 μB per cell
1.0
6.4668 0.0000 0.0000
0.0000 6.4668 0.0000
0.0000 0.0000 6.4668
Zr Cu Si Au
4 4 4 4
Direct
0.0000 0.0000 0.0000
0.0000 0.5000 0.5000
0.5000 0.0000 0.5000
0.5000 0.5000 0.0000
0.2500 0.2500 0.7500
0.2500 0.7500 0.2500
0.7500 0.2500 0.2500
0.7500 0.7500 0.7500
0.0000 0.0000 0.5000
0.0000 0.5000 0.0000
0.5000 0.0000 0.0000
0.5000 0.5000 0.5000
0.2500 0.2500 0.2500
0.2500 0.7500 0.7500
0.7500 0.2500 0.7500
0.7500 0.7500 0.2500


8.
********
Brief:
Now duplicate the whole of the lines further up with every line break kept.
Written answer:
1.
TaCuSiAu | the Open Quantum Materials Database | PBE | optimized geometry; energy above the lowest structure with this stoichiometry = 0.278 eV/atom; magnetization = 2.7 μB per cell
1.0
6.3310 0.0000 0.0000
0.0000 6.3310 0.0000
0.0000 0.0000 6.3310
Ta Cu Si Au
4 4 4 4
Direct
0.0000 0.0000 0.0000
0.0000 0.5000 0.5000
0.5000 0.0000 0.5000
0.5000 0.5000 0.0000
0.2500 0.2500 0.7500
0.2500 0.7500 0.2500
0.7500 0.2500 0.2500
0.7500 0.7500 0.7500
0.0000 0.0000 0.5000
0.0000 0.5000 0.0000
0.5000 0.0000 0.0000
0.5000 0.5000 0.5000
0.2500 0.2500 0.2500
0.2500 0.7500 0.7500
0.7500 0.2500 0.7500
0.7500 0.7500 0.2500


2.
TbCuSi2Au | the Open Quantum Materials Database | PBE | optimized geometry; final energy = -50.8 eV/cell; magnetization = 0.0 μB per cell
1.0
4.0978 0.0000 0.0000
0.0000 4.0978 0.0000
0.0000 0.0000 10.2720
Tb Cu Si Au
2 2 4 2
Direct
0.0000 0.0000 0.0000
0.5000 0.5000 0.5000
0.0000 0.5000 0.7500
0.5000 0.0000 0.2500
0.0000 0.0000 0.3874
0.0000 0.0000 0.6126
0.5000 0.5000 0.1126
0.5000 0.5000 0.8874
0.0000 0.5000 0.2500
0.5000 0.0000 0.7500


3.
CuSiWAu | the Open Quantum Materials Database | PBE | optimized geometry; energy above the lowest structure with this stoichiometry = 0.000 eV/atom; magnetization = 0.4 μB per cell
1.0
6.2168 0.0000 0.0000
0.0000 6.2168 0.0000
0.0000 0.0000 6.2168
Cu Si W Au
4 4 4 4
Direct
0.0000 0.0000 0.0000
0.0000 0.5000 0.5000
0.5000 0.0000 0.5000
0.5000 0.5000 0.0000
0.2500 0.2500 0.7500
0.2500 0.7500 0.2500
0.7500 0.2500 0.2500
0.7500 0.7500 0.7500
0.0000 0.0000 0.5000
0.0000 0.5000 0.0000
0.5000 0.0000 0.0000
0.5000 0.5000 0.5000
0.2500 0.2500 0.2500
0.2500 0.7500 0.7500
0.7500 0.2500 0.7500
0.7500 0.7500 0.2500


4.
CuSiWAu | the Open Quantum Materials Database | PBE | optimized geometry; energy above the lowest structure with this stoichiometry = 0.377 eV/atom; magnetization = 6.5 μB per cell
1.0
6.2829 0.0000 0.0000
0.0000 6.2829 0.0000
0.0000 0.0000 6.2829
Cu Si W Au
4 4 4 4
Direct
0.0000 0.0000 0.0000
0.0000 0.5000 0.5000
0.5000 0.0000 0.5000
0.5000 0.5000 0.0000
0.2500 0.2500 0.7500
0.2500 0.7500 0.2500
0.7500 0.2500 0.2500
0.7500 0.7500 0.7500
0.2500 0.2500 0.2500
0.2500 0.7500 0.7500
0.7500 0.2500 0.7500
0.7500 0.7500 0.2500
0.0000 0.0000 0.5000
0.0000 0.5000 0.0000
0.5000 0.0000 0.0000
0.5000 0.5000 0.5000


5.
YCuSi2Au | the Open Quantum Materials Database | PBE | optimized geometry; final energy = -54.5 eV/cell; magnetization = 0.0 μB per cell
1.0
4.0841 0.0000 0.0000
0.0000 4.0841 0.0000
0.0000 0.0000 10.2785
Y Cu Si Au
2 2 4 2
Direct
0.0000 0.0000 0.0000
0.5000 0.5000 0.5000
0.0000 0.5000 0.2500
0.5000 0.0000 0.7500
0.0000 0.0000 0.3877
0.0000 0.0000 0.6123
0.5000 0.5000 0.1123
0.5000 0.5000 0.8877
0.0000 0.5000 0.7500
0.5000 0.0000 0.2500


6.
ZrCuSiAu | the Open Quantum Materials Database | PBE | optimized geometry; energy above the lowest structure with this stoichiometry = 0.000 eV/atom; magnetization = 0.0 μB per cell
1.0
6.4502 0.0000 0.0000
0.0000 6.4502 0.0000
0.0000 0.0000 6.4502
Zr Cu Si Au
4 4 4 4
Direct
0.0000 0.0000 0.0000
0.0000 0.5000 0.5000
0.5000 0.0000 0.5000
0.5000 0.5000 0.0000
0.0000 0.0000 0.5000
0.0000 0.5000 0.0000
0.5000 0.0000 0.0000
0.5000 0.5000 0.5000
0.2500 0.2500 0.2500
0.2500 0.7500 0.7500
0.7500 0.2500 0.7500
0.7500 0.7500 0.2500
0.2500 0.2500 0.7500
0.2500 0.7500 0.2500
0.7500 0.2500 0.2500
0.7500 0.7500 0.7500


7.
ZrCuSiAu | the Open Quantum Materials Database | PBE | optimized geometry; energy above the lowest structure with this stoichiometry = 0.117 eV/atom; magnetization = 0.0 μB per cell
1.0
6.4668 0.0000 0.0000
0.0000 6.4668 0.0000
0.0000 0.0000 6.4668
Zr Cu Si Au
4 4 4 4
Direct
0.0000 0.0000 0.0000
0.0000 0.5000 0.5000
0.5000 0.0000 0.5000
0.5000 0.5000 0.0000
0.2500 0.2500 0.7500
0.2500 0.7500 0.2500
0.7500 0.2500 0.2500
0.7500 0.7500 0.7500
0.0000 0.0000 0.5000
0.0000 0.5000 0.0000
0.5000 0.0000 0.0000
0.5000 0.5000 0.5000
0.2500 0.2500 0.2500
0.2500 0.7500 0.7500
0.7500 0.2500 0.7500
0.7500 0.7500 0.2500


8.